Firepower and Freedom
>Firepower and Freedom
>by David Goree
>The brilliant thinkers that wrote our Constitution had it right. They had
>just fought a war to overthrow an oppressive government, and they had won
>by having similar technologies to this oppressive Government and tactics
>more suitable to the type of war they were fighting. These geniuses wrote
>the Second Amendment to ensure that this balance continued for the future
>this great Nation.
>”A well regulated Militia, being necessary to the security of a Free State,
>the right of the people to keep and bear Arms, shall not be infringed.” -
>The Second Amendment to the US Constitution
>There is a story from my wife’s family that makes this so perfectly clear.
>”During the year 1780 Lord Dunmore conducted a campaign against the forces
>of Revolutionary General Andrew Lewis, who was placed in the area of
>County. Dunmore’s assault was by sea up the Pianketank River and by landing
>party via Point Pleasant. This placed Milford Haven, home of Houlder
>Hudgins, was directly in the line of battle. Enraged by this, Houlder
>Hudgins fitted out one of his fleet, the brigantine ‘Queen Charlotte’ as a
>war vessel, manned it and presented it to General Lewis to repel the
>invaders. There ensued the Battle of Gwynns Island, at the end of which the
>attack was thwarted and the forces of Lord Dunmore dispersed.”
**Between two parts of the piece: crystal structures:**
- - -
1.
# ThMnTcP2

A relaxed structure of ThMnTcP2 (GGA-PBE, Alexandria via LeMat-Bulk).

Properties
E = -8.440 eV/atom
formation energy = -4.4 eV/f.u.

a = 4.0852 Å, b = 4.0852 Å, c = 9.7753 Å
α = 90.00°, β = 90.00°, γ = 90.00°
With the nearest neighbours (Å) after each atom.
Space group I-4m2 (No. 119)
One atom of each set of equivalent atoms:
Th 0.0000 0.0000 0.0000 (multiplicity 2)  4 Mn 3.19, 4 Tc 3.19, 10 P 3.19-3.54
Mn 0.0000 0.5000 0.7500 (multiplicity 2)  4 P 2.32
Tc 0.0000 0.5000 0.2500 (multiplicity 2)  4 P 2.32
P 0.0000 0.0000 0.3622 (multiplicity 4)  2 Mn 2.32, 2 Tc 2.32

=====

2.
# UMn2TcP2

A relaxed structure of UMn2TcP2 (GGA-PBE, Alexandria via LeMat-Bulk).

Properties
E = -8.988 eV/atom
formation energy = -3.1 eV/f.u.

a = 3.8768 Å, b = 6.9775 Å, c = 6.4828 Å
α = 90.00°, β = 90.00°, γ = 90.00°
With the nearest neighbours (Å) after each atom.
Space group Pmc2_1 (No. 26)
One atom of each set of equivalent atoms:
U 0.0000 0.0847 0.0000 (multiplicity 2)  5 P 2.78-2.88, 4 Mn 2.90-3.10, 4 Tc 2.98-3.00
Mn 0.0000 0.3204 0.3677 (multiplicity 2)  4 P 2.20-2.32
Mn 0.5000 0.4285 0.0450 (multiplicity 2)  3 P 2.51-2.54, 1 Tc 2.73
Tc 0.5000 0.1980 0.6696 (multiplicity 2)  4 P 2.41-2.60
P 0.0000 0.3980 0.7150 (multiplicity 2)  2 Mn 2.20-2.32, 2 Tc 2.41
P 0.5000 0.1559 0.2970 (multiplicity 2)  3 Mn 2.30-2.51, 1 Tc 2.43

=====

3.
# UMnTcP2

A relaxed structure of UMnTcP2 (GGA-PBE, Alexandria via LeMat-Bulk).

Properties
E = -9.025 eV/atom
formation energy = -3.5 eV/f.u.

a = 4.0194 Å, b = 4.0194 Å, c = 9.3701 Å
α = 90.00°, β = 90.00°, γ = 90.00°
With the nearest neighbours (Å) after each atom.
Space group I-4m2 (No. 119)
One atom of each set of equivalent atoms:
U 0.0000 0.0000 0.0000 (multiplicity 2)  8 P 3.08, 4 Mn 3.09, 4 Tc 3.09
Mn 0.0000 0.5000 0.7500 (multiplicity 2)  4 P 2.32
Tc 0.0000 0.5000 0.2500 (multiplicity 2)  4 P 2.32
P 0.0000 0.0000 0.3741 (multiplicity 4)  2 Mn 2.32, 2 Tc 2.32, 1 P 2.36

=====

4.
# MnVTcP2

A relaxed structure of MnVTcP2 (GGA-PBE, Alexandria via LeMat-Bulk).

Properties
E = -6.884 eV/atom
formation energy = 5.1 eV/f.u.

a = 4.5033 Å, b = 4.5033 Å, c = 4.7758 Å
α = 90.00°, β = 90.00°, γ = 90.00°
With the nearest neighbours (Å) after each atom.
Space group P4/mmm (No. 123)
One atom of each set of equivalent atoms:
Mn 0.0000 0.0000 0.0000 (multiplicity 1)  2 Tc 2.39
V 0.5000 0.5000 0.0000 (multiplicity 1)  4 Mn 3.18, 8 P 3.28
- - -
**Here the piece continues:**
>An account of the above incident appeared in the July 10, 1812 issue of The
>Virginia Argus follows;
>”Houlder Hudgins, Esq.; was a member of the Gloucester County Committee of
>Safety, and in 1780 fitted out, manned and presented to General Andrew
>a vessel called ‘Queen Charlotte’ which played a critical part in The
>of Gwynns Island in which the forces of Lord Dunmore were decisively
>defeated. Mr. Hudgins was the owner of a fleet of vessels trading to and
>from the West Indies. His home was situated directly in the line of attack
>of the Dunmore forces. It was a natural and patriotic action for him to
>assist in the destruction of the enemy by driving him from the shores of
>own country and his very home.”
>A 21st Century Houlder Hudgins, faced with an Aegis cruiser in his backyard
>would have no such option. Imagine for a moment, walking out your door to
>find an M1-A2 tank outside. Can you own anything that can do more than
>a tank? No, you cannot. Can you own anything that can even reach an F-16?
>No, you cannot. The FBI or BATF would knock on your door within hours if
>tried to order such an item, or even discussed it with any intent.
>(Attention all Federal agents…this is all discussed as a matter of
>potential future interest, not a plot to overthrow the Government
>got it..?)
>So…what must our 21st century Houlder Hudgins do to free his home from a
>future oppressive Government? Simple…Vote Libertarian!
>The Libertarian Party is the only political party that is totally committed
>to the principle of the Second Amendment. In a Libertarian society
>Government would be so small and limited in power and authority that it
>would be terribly unlikely for Government to get out of control. The People
>however must always have the ability to make Government fear the people
>rather than the People fear the government as so many do today.
>I thank the geniuses that wrote our Constitution, as well as patriots like
>Houlder Hudgins for giving us the gift of Freedom! We cannot allow our
_These data records were left in the article by mistake_
=====
# PBE Sr2CaZr, relaxed
data_Sr2CaZr
_chemical_formula_sum 'Sr2 Ca1 Zr1'
_symmetry_space_group_name_H-M 'P 1'
_symmetry_Int_Tables_number 1
_symmetry_space_group_name_Hall 'P 1'
_cell_length_a 6.029
_cell_length_b 6.029
_cell_length_c 6.029
_cell_angle_alpha 60.00
_cell_angle_beta 60.00
_cell_angle_gamma 60.00
loop_
_atom_site_label
_atom_site_type_symbol
_atom_site_fract_x
_atom_site_fract_y
_atom_site_fract_z
Zr1 Zr 0.500 0.500 0.500
Sr1 Sr 0.250 0.250 0.250
Sr2 Sr 0.750 0.750 0.750
Ca1 Ca 0.000 0.000 0.000
# M_tot (μB per formula unit): 0.17
# SG: Fm-3m
# Density of states at the Fermi level (states/eV/f.u.): 4.78
# Uncorrected energy (eV per atom): -2.98
# Calculated formation energy (meV per atom): 502


Entry from Alexandria via LeMat-Bulk: crystalline K2U3CrO12 at its relaxed geometry (GGA+U).

Structure (POSCAR):
```
K2U3CrO12
1.0
7.463 -0.213 -0.151
3.501 6.595 -0.151
3.501 2.038 6.274
K O U Cr
2 12 3 1
Cartesian
9.254 5.387 3.821
5.210 3.033 2.151
5.654 0.341 0.242
8.810 8.078 5.730
9.323 2.606 1.848
11.376 3.671 5.730
3.089 4.748 0.242
11.376 6.622 1.571
3.089 1.798 4.401
7.594 1.599 4.124
6.870 6.820 1.848
7.594 4.421 0.146
6.870 3.999 5.826
5.141 5.814 4.124
3.732 -0.106 -0.075
1.750 1.019 3.137
1.750 3.297 -0.075
0.000 0.000 0.000
```

## Properties
Its space group is No. 166. The total energy comes out at -150.7 eV per cell. As for the total moment: 0.110 μB/atom.

Entry from Alexandria via LeMat-Bulk: crystalline YV2O2 at its relaxed geometry (GGA+U).

Structure (POSCAR):
```
YV2O2
1.0
-5.502 -2.111 -2.748
0.179 -5.323 3.730
-2.132 1.897 2.810
V O Y
4 4 2
Cartesian
-2.832 -0.664 1.154
-1.899 -3.001 3.440
-4.622 -4.873 2.638
-5.555 -2.535 0.352
-0.942 -4.102 2.055
-3.673 -5.756 1.100
-4.380 -3.332 -1.073
-1.650 -1.678 -0.118
-2.661 -3.717 0.491
0.000 0.000 0.000
```

## Properties
Its space group is No. 127. As for the total moment: 1.193 μB/atom. The calculation puts the distance to the lowest polymorph of the same formula at 0.0 meV/atom.


InFe2Cl (PBE, relaxed); symmetry = No. 225; theoretical density = 6385 kg/m3; M_tot = 5.2 μB/cell; distance to the lowest polymorph of the same formula = 618 meV per atom
1.0
-1.950 -4.135 -0.347
0.556 -3.084 3.346
-3.530 -1.104 2.709
Fe In Cl
2 1 1
Direct
0.750 0.750 0.750
0.250 0.250 0.250
0.500 0.500 0.500
0.000 0.000 0.000



InFeCl2 (PBE, relaxed); symmetry = No. 44; theoretical density = 4029 kg/m3; M_tot = 3.0 μB/cell; distance to the lowest polymorph of the same formula = 217 meV per atom
1.0
-2.623 3.671 -3.782
-4.843 -2.946 -1.590
2.904 2.829 4.269
Cl In Fe
2 1 1
Direct
0.318 0.818 0.500
0.960 0.960 0.000
0.729 0.229 0.500
0.494 0.494 0.000



InFeCl2 (PBE, relaxed); symmetry = No. 122; theoretical density = 4119 kg/m3; M_tot = 6.0 μB/cell; distance to the lowest polymorph of the same formula = 94 meV per atom
1.0
-4.905 -0.384 6.015
4.220 -5.756 3.074
1.444 -0.909 6.139
Cl Fe In
4 2 2
Direct
0.875 0.763 0.750
0.237 0.625 0.250
0.513 0.125 0.250
0.375 0.487 0.750
0.500 0.500 0.000
=====
_End of the data records_
>generation to be the one that watches it slip away. Vote Libertarian!
>Dave Goree is a racing engineer and custom vehicle builder in Asheville NC.
>Owner of Things That Make US GO…! and Libertarian pain in the ass to
>government folks that do stupid things. Dave was the Libertarian candidate
>for Mayor of Asheville in 2001, and will likely be again in 2005. Dave has
>wildly varied background. He has been a motorcycle road racer, a flight
>instructor, a stockbroker, a business owner, a mechanic, an inventor, and a
>racing engineer as well as the aforementioned pain in the ass. He is 37
>years old, married to Caroline, with a son, 9, Nicholas.